In order to have a victorious awareness of God, we must know that Jesus is The Life Giver, not just a Problem Solver.
Our problem is that, generally, we only look to Jesus for direction when we want to be delivered from a difficulty.
When things go smoothly we are apt to be more aware of the everyday happenings that we encounter than we are of the Life of God that is within us.
We expect to go along our own way, living our own life, being an individual within our own selves; then when we meet difficulties, we ask Jesus to help us. Sometimes it seems that He does, and sometimes it seems that He doesn’t. The result of this is that most of our requests are made in desperation. We have no confidence, no faith, only hope. We pray and ask Jesus to help us and hope that He will. This is generally what happens when we consider Jesus to be a problem solver.
Jesus has brought us to a new source of life. This new life must be our prime consideration. It shouldn’t come as a surprise to us that the fact that we have a new life, the Bible tells us over and over again that this is so. We would do well to consider it.
This new life is completely independent of the laws of the material, physical existence that man considers his life to be. This new life is God’s Life and it has been given to us by Jesus Christ. This life is the gift of God! Yet, instead of accepting it, we continue to struggle in the old. We are continually finding ourselves in all kinds of difficulties. This seems so unnecessary in view of what we read in the Bible. We are endowed with NEW LIFE when we are born again.
A man must first see that he is dead. This is why Jesus died. He died so that we might reckon ourselves dead.
Without the death of the old life, there can be no new life. Jesus said that you don’t put new wine in old wineskins. A lot of us are unwilling to give up the old life. We have no desire to reckon ourselves dead. We are willing to reform, we are willing to suffer persecution; we are willing to have most anything happen to us just as long as we can keep our identity. We want to say, “The life is mine, I am a1ive, I am me.” But it just isn’t so. If one believes the words of Jesus, if they accept Him as being their Savior from sin, it just isn’t so.
Salvation means a new life. It is God’s life given to man. Jesus did not give man the power to live the old life, free from sin, but He gave man the power to live a new life, a life completely different from the old. The Bible says, “Old things pass away all things become new.” Naturally it’s hard to understand this because it means the cessation of life as the flesh knows it or so the carnal mind imagines.
But we are not left lifeless. Paul says, “I am crucified with Christ, nevertheless, I live. Yet, it is not I, but Christ liveth in me.” This is a very clear statement of our Life Source. This must be the fundumenta1 basis of our life in this world if we are to be continually aware of God. It seems unnecessary to say that we are only aware of that which we think about, but it’s true. Our thoughts seem to focus only on those things that seem to be most pressing. To know that these “most pressing” things are in the hands of our Heavenly Father, and that He is shaping them for our good and His glory, is not a natural thing to think about. But it must be the foundation of every thought, every word, and every action of our life here in this world, if we are to be aware of God as He really is.
In the 17th Chapter of John, Jesus prayed to the Father and said, “Glorify me with Thine own self, with the glory I had with Thee before the world was.” Then, speaking of us, He said, “The glory Thou hast given me, I have given them.” In order to understand what Jesus is saying, it is necessary to know that “glory,” as Jesus used it, means “all that God is.” Notice how Jesus phrased it, “Glorify me with Thine own Self.” So Jesus received all that God is, and He gave Him to us who by faith receive His Words. That is salvation. In Jesus we have received a life that is free from sin.
It is a life that is eternal because it is the Life of God. We have been set free from the law of sin and death, which is in our members when we abide in the Father. In fact, Jesus told us that we could be of good cheer because He has overcome the world.
Whether one believes this, or not, doesn’t change the fact that Jesus has prepared our place of abiding in the Father, but it makes a world of difference to us! If we have accepted Jesus as our Savior, if we believe Him, then we have been given a life that is free from sin! If this were not true, we would still be in our sin and there would be no salvation.
To abide in the Father is the only way that we may obtain salvation, there is no other way. Jesus gave His life so that we might have God’s life. He did this because He loves us, so naturally it is His desire that we believe Him.
It is my desire that you will be encouraged to consider Jesus as the total Life Source of your existence, because only in this way will you have the peace and contentment that God meant for you to have.
-- Crystal structures from another source follow --
~~~
# PBE-GGA HoBi3O6, optimized geometry
# spin magnetization: 0.0 μB per cell
# relative energy among the computed polymorphs: 0.03 eV per formula unit
# raw formation energy: -1.78 eV/atom
data_HoBi3O6
_space_group_name_H-M_alt 'P 1 21/c 1'
_space_group_IT_number 14
_cell_length_a 5.861
_cell_length_b 6.353
_cell_length_c 10.342
_cell_angle_alpha 90.00
_cell_angle_beta 124.11
_cell_angle_gamma 90.00
loop_
_space_group_symop_operation_xyz
'x,y,z'
'-x,-y,-z'
'-x,y+1/2,-z+1/2'
'x,-y+1/2,z+1/2'
loop_
_atom_site_label
_atom_site_fract_x
_atom_site_fract_y
_atom_site_fract_z
Ho1 0.000 0.000 0.000
Bi1 0.265 0.032 0.754
Bi2 0.500 0.000 0.500
O1 0.090 0.063 0.243
O2 0.230 0.688 0.075
O3 0.395 0.169 0.064

# PBE-GGA Na2TlO, optimized geometry
# spin magnetization: 0.5 μB per cell
# relative energy among the computed polymorphs: 0.21 eV per formula unit
# raw formation energy: -0.72 eV/atom
data_Na2TlO
_space_group_name_H-M_alt 'R -3 m'
_space_group_IT_number 166
_space_group_name_Hall '-R 3 2"'
_cell_length_a 3.5270
_cell_length_b 3.5270
_cell_length_c 28.1994
_cell_angle_alpha 90.00
_cell_angle_beta 90.00
_cell_angle_gamma 120.00
loop_
_atom_site_label
_atom_site_fract_x
_atom_site_fract_y
_atom_site_fract_z
Na1 0.0000 0.0000 0.1302
Tl1 0.0000 0.0000 0.0000
O1 0.0000 0.0000 0.5000
~~~
We will see conditions forming around us that seem insurmountable, and because we in our old selves do not know how to cope with the situation, we proceed to do what we can, not knowing for sure just what will happen. Problems have a way of growing when faced in this manner. Then, when we find out our efforts are not getting the desired results, we become desperate. We cry out to God for deliverance, hoping, but not knowing for sure whether we will be delivered.
If we are conscious of God’s Life within us, we will not fear no matter what the circumstance may be. God knows how to handle them. Trouble will always be present; those things which we have considered to be problems will continue to surround us. But now it is no longer a matter to worry about; they are in God’s keeping and He is working them out for our own good. Paul made a statement that reveals this attitude. He said, “I have learned that whatsoever state I am in therewith to be content.” Today Paul might say it this way, “No matter what happens to me, no matter what conditions come against me, I have learned that I do not have to be disturbed by them.” You see, this is the man that said, “Christ lives in me.” To know this independence is to know a victorious life. I know of no one who has lived a victorious live except Jesus.
I can not imagine the magnitude of my new Life. I only know that it is beyond the capacity of my mind to understand the things that God has prepared for me. I read things in the Bible that alert me to certain facts so that I might believe.
Jesus brought salvation to me. He was the Son of God and He gave me favor in God’s eyes. I am not bound by sin because the Bible tells me that He whom the Son sets free is free indeed. This is the beginning of my heritage in Christ.
Jesus, as the obtainer of my salvation, did battle with Satan, who is the one that desires my bondage. He is the Prince of this world. Jesus invaded this world. He encountered every force that Satan could bring against Him. He emerged triumphant in all things. Jesus displayed His victories for all to see. One way that He displayed His victory over Satan was by “casting out demons,” and healing those who were sick and lame and blind. Most everyone agreed that these “sicknesses” were from Satan, or Beelzebub, as they called him. What they couldn’t understand was by what power Jesus could do these things. Some said that naturally He could cast out devils because He was the Prince of devils. Other weren’t so sure. “Can the devil open blind eyes?” they asked. And so there was a division among the people because of Jesus. Jesus set them straight on this matter. He said that if you enter a strong man’s house and bind that strong man, then you can do whatever you want.
This word, “whatever,” covers a good bit. All things became subject unto Jesus. It was not originally that way. He ruled, exercised authority, if you please, until all things were subject unto Him. The scriptures say that the last enemy He conquered was death. So if death has no power over Him, and He is my life, then death has no power over me.
Here is what the scriptures say, “The gift of God is eternal life through Jesus Christ our Lord.” I can not look at this as being the old life that was the flesh, because that life God declared came from dust and would return to dust. The new life that I have is of God, and He is Spirit. So my new life is in Christ, not myself. Now, if He is victorious over all things, and He is, and He is my life, then I have victory over all things. You see, it really isn’t me--the old me, that has the victory--it is Christ who is in me that has the victory. So, here’s the essence of what I’m saying: If I consider my life to be my own, I will exist from one problem to the next, and never really be aware of the constant abiding presence of Jesus. But if I consider myself to be alive in Christ, then I will live every moment of every day, knowing that my life is hid with Christ, in God. I can live in the peace that He gave me because He has overcome the world.
Isn’t that wonderful? But how am I to know that this is true? How am I to know that this is for here and that it is for right now? Earlier in these words, I said that to know the magnitude of this new Life is beyond the understanding of our carnal mind. I do not want to stop on that hopeless note. The Bible says, “God hath revealed it to us by His Spirit.” So that’s how you know these things; there is no other way.
It seems that in order to stay pointed in the right direction, I must always come back to certain things that Jesus said.
They seem to be such strange things. Sometimes we think, because they are so strange, that they are mystical words, uttered by Jesus, and not meant for us to understand. Not so. They are Words that tell of Spiritual truths; that’s why they sound mystical to the carnal mind, and these truths are revealed to us, not by the carnal mind but by God’s mind. Paul wrote these words of revealed knowledge, “God was in Christ reconciling the world to Himself.” Jesus knew that this was true. He told His Disciples that the Words He spoke were not His own, rather they were the words of the Father who lived in Him. He said the same thing regarding the works that He did; it was the Father who was responsible for them. You see, Jesus had God’s mind. So, let’s keep this in mind, Jesus knew and understood something that man didn’t understand. He told His Disciples and us what these things were, because soon they would have that which would enable them also to understand.
We can know that the privilege of having God’s life is a “now” thing because certain things that Jesus said would happen have happened. When Paul wrote the words that said Jesus would rule until all things were subject to Him, He also said that the Son would give Himself over to the Father so that God would be “all in all.” That happened. It was necessary for this to happen. Jesus put it this way, “If I go not away, the Comforter, which is the Holy Ghost, will not come.” The Holy Ghost did come. The scriptures are exceedingly plain on this point. It happened on the day of Pentecost. If it didn’t happen, you might as well wipe out the whole New Testament. You could no longer believe Jesus because He said it would happen. If I can’t believe Jesus, I can never know God because Jesus is the only one who has revealed the Father. But it DID happen. The Bible says that it happened, history says that it happened, and the events of man since then has lent credence to the truth of God’s Life, or Spirit, within man.
Jesus asked God to “glorify” Him with God’s own self, not His own self, but God’s own self. This was something that was entirely independent of material things because it was a “glory” that existed “before the world was.” Jesus, while on earth, lived in this “glory” by faith. He entered into it in actuality when He gave Himself over to the Father. You see, this made God all in all, and that’s the way it was before the world was.
Jesus desire to have this “glory” has been fulfilled. He laid down His life to receive it. I’m referring to the day that Jesus gave Himself to the Father. He desired that we also should receive this “glory.” How did this come about? To me this is such a wonderful thing that words seem inadequate; God gave Himself to me! Call it the Holy Spirit, or whatever you like, but that’s God! I don’t deserve this, I have done nothing to merit it, but it is the free gift of God. This is because of Jesus’ desire that we share His Glory and be with Him where He is.
Jesus honored the Father and the Father honored the Son. God said to Jesus, “Thou art my Beloved Son,” and He gave Jesus all power and all authority, to work, to judge and to give Life. Jesus said to the Father, “I love these people. I want them to be one with us, just as we are one.” Then Jesus gave up His life and proceeded to the Father.
Then this magnificent Oneness of the Father and the Son came to man and made him one, even as Jesus and the Father were made one. As Jesus was made alive with God’s Life, even so, are we privileged to be made alive with God’s Life. This is our heritage, this is our perfection, this is our righteousness, and this is our salvation.
I once knew a man who wanted to become a Christian, but he felt that he would have to give up too many things. Not knowing the sweetness of God’s Life, he did not know whether it was worth it. Chief among his interests were flowers, especially orchids. The man had gained statewide recognition for his successes in cultivating orchids. He asked me, “If I become a Christian, will I have to give up my flowers?” I answered, “No, just love Jesus.” The man gave his life to the Lord and became a Christian. Years later he asked me if I remembered his question. I said, “Yes.” Then he told me that if I had said he would have to give up the flowers, he was prepared to forget the whole thing. I asked him what became of the flowers and he told me that Jesus filled his life with better things. He still likes flowers but he had found a new life.
I tell you this to illustrate the truth that we can give our life to Jesus without any reservations. We will not know the future because these things are withheld from our carnal mind. We can receive God’s life confidently, knowing that herein is our salvation. To know Jesus as our Source of Life is all that we need. Jesus does all the rest.